Wait, things in the UK labour market are not getting worse?
It’s customary to bemoan the way the world is getting worse. All the good, middle class jobs are gone. The labour market is increasingly polarised. People are unsatisfied with their jobs and quitting in the millions. And so on. Of course, there are elements of truth to these sentiments, but it’s also important to put things into perspective.
That’s what the graph today is trying to do. It shows how the proportion of jobs in the UK has shifted since 1997 — primarily from lower-paying to higher-paying occupations.
• Records of molecules, as found in the file:
=====
Below is C3H8N2O in the gas phase in a non-equilibrium geometry, with properties calculated with wB97M-V/def2-TZVPD.

Each line ends with the natural charge from an NBO analysis.
Cartesian coordinates (Å):
N  0.8353  0.7545  1.0996  -0.857
C  0.5611  0.2273  -0.2535  -0.131
C  -0.4681  1.0050  -1.0545  -0.622
C  0.0183  -1.2153  -0.1345  0.658
N  -0.8205  -1.5582  0.8608  -0.822
O  0.3238  -1.9900  -1.0342  -0.640
H  0.4960  1.7025  1.1783  0.358
H  1.8233  0.7880  1.3203  0.370
H  1.5003  0.1779  -0.7952  0.208
H  -1.4033  1.1775  -0.5075  0.208
H  -0.6766  0.3424  -1.8964  0.241
H  -0.1404  2.0172  -1.2886  0.213
H  -1.1541  -2.4978  0.8696  0.407
H  -0.8951  -0.9310  1.6356  0.411

Results
**Structure (SMILES)**: C[C@@H](N)C(N)=O
**Multiplicity**: 1
**Relative energy (zero: lowest compared OMol25 entry of this formula, charge and spin)**: 0.4107 eV
**Total energy**: -303.8770 hartree
**LUMO energy**: 1.0 eV
**Kohn-Sham gap**: 10.16 eV

=====

Below is 2 unconnected molecules or ions with the total composition C3H8N2O in a non-equilibrium geometry, with properties calculated with wB97M-V/def2-TZVPD.

Each line ends with the natural charge from an NBO analysis.
Cartesian coordinates (Å):
C  -1.7744  0.3405  0.1069  -0.606
C  -0.3965  0.1820  -0.6932  -0.109
C  0.5019  -0.3837  0.4236  0.620
H  -1.7062  0.9610  0.9751  0.221
H  -2.0066  -0.6658  0.3746  0.215
H  -2.5151  0.8403  -0.6220  0.217
H  -0.5604  -0.6325  -1.5371  0.189
H  0.4513  2.1308  -0.6509  0.377
H  0.9212  1.1808  -1.9278  0.365
H  1.3611  -2.2453  1.1031  0.405
H  1.0287  -2.5542  -0.8804  0.346
N  0.1111  1.3390  -1.3325  -0.840
N  0.7020  -1.7415  0.4498  -0.798
O  0.9185  0.3712  1.2901  -0.602

Results
**Multiplicity**: 1
**Relative energy (zero: lowest compared OMol25 entry of this formula, charge and spin)**: 3.8576 eV
**Total energy**: -303.7504 hartree
**LUMO energy**: -0.7 eV
**Kohn-Sham gap**: 8.41 eV

=====

Below is 2 unconnected molecules or ions with the total composition C3H8N2O in a non-equilibrium geometry, with properties calculated with wB97M-V/def2-TZVPD.

Each line ends with the natural charge from an NBO analysis.
Cartesian coordinates (Å):
C  -2.2463  -0.1622  -1.6972  -0.544
C  -2.0380  0.0838  -0.3595  0.150
O  -0.9871  -0.5910  0.1881  -0.742
H  -2.7784  0.7945  -2.1525  0.200
H  -1.9742  -1.0219  -2.3155  0.218
H  -2.4666  0.9082  0.1731  0.179
H  -0.6911  -0.2565  1.1060  0.523
N  1.8690  -0.5419  -0.2036  -0.810
C  1.9659  0.0714  1.0823  0.312
N  1.0101  0.7074  1.7412  -0.798
H  0.9831  -0.5515  -0.6748  0.425
H  2.6865  -0.8272  -0.5746  0.382
H  3.1237  -0.0027  1.3759  0.143
H  1.5435  1.3897  2.3111  0.362

Results
**Structure (SMILES)**: [H]/N=C/N.C=CO
**Multiplicity**: 1
**Relative energy (zero: lowest compared OMol25 entry of this formula, charge and spin)**: 3.1711 eV
**Total energy**: -303.7756 hartree
**LUMO energy**: 0.9 eV
**Kohn-Sham gap**: 9.31 eV

=====
=====
Let me explain the graph, and then summarise the take-aways. The height and width* of segments in each column indicate the proportion of employment that each occupational group accounts for, in each of the years shown. The names of the respective groups are in the right hand column. [* I did this duplication on purpose, so it’s even easier to see how the proportions have changed over the years. Let me know if you don’t think this is legit!]
The darkness of the colour indicates median gross hourly pay for each occupational group in 2021, and the groups have been ordered from lowest to highest pay. For example, the median pay for elementary occupations in 2021 was around £10 per hour, while for managers, directors and senior officials it was more than double that, at around £23 per hour.
So, what do we see? Despite stories about the disappearing middle class, what actually seems to have been disappearing are low-paying elementary and administrative jobs.
This makes sense in the context of global megatrends, as well as UK specific developments. On the supply side, many more people are now more highly educated than they were in 1997. It’s hard to get data on the “stock” of people in the population back then, but to use a “flow” measure as a proxy: in 1995/96, 45% of the relevant age cohort achieved the equivalent of 5 or more GCSE grades of A* to C. By 2010/11, the equivalent figure was roughly 80%. For 2020, we do have “stock” data from the ONS, which shows that 92% of the workforce had the equivalent of 5 GCSEs at grades A*-C.
Things have also changed on the demand side of the labour market equation. As you would expect, the occupations that have shrunk are those which are easy to automate and/or where lower labour costs in other countries might have caused production to relocate. Hence the reduction in elementary and administrative occupations, factory jobs, as well as skilled trades. [I’m thinking the smaller figure in 2021 for customer service jobs might be COVID-19 related rather than part of a longer-term trend.]
The UK is far from the desired “high skill, high productivity, high wage” economy we would like to be (at least, compared to some other countries). But unless I’m missing something, the broad trend seems to be in the right direction.